== Material ==
- - -
# GGA-PBE AcZrBi3, optimized geometry
# - total energy (hartree per atom) = -0.185
# - energy above the lowest structure with this stoichiometry (kJ per mole of atoms) = 36.3
data_AcZrBi3
_cell_length_a 5.683
_cell_length_b 5.683
_cell_length_c 5.683
_cell_angle_alpha 90.00
_cell_angle_beta 90.00
_cell_angle_gamma 90.00
_space_group_name_H-M_alt 'P m -3 m'
_space_group_IT_number 221
_space_group_name_Hall '-P 4 2 3'
loop_
_atom_site_label
_atom_site_type_symbol
_atom_site_fract_x
_atom_site_fract_y
_atom_site_fract_z
Ac1 Ac 0.000 0.000 0.000
Zr1 Zr 0.500 0.500 0.500
Bi1 Bi 0.000 0.500 0.500

***

# GGA-PBE Ac2ZrBi5, optimized geometry
# - total energy (hartree per atom) = -0.180
data_Ac2ZrBi5
_cell_length_a 8.605
_cell_length_b 11.342
_cell_length_c 7.029
_cell_angle_alpha 90.00
_cell_angle_beta 127.26
_cell_angle_gamma 90.00
_space_group_name_H-M_alt 'C 1 m 1'
_space_group_IT_number 8
loop_
_space_group_symop_operation_xyz
'x,y,z'
'x,-y,z'
'x+1/2,y+1/2,z'
'x+1/2,-y+1/2,z'
loop_
_atom_site_label
_atom_site_type_symbol
_atom_site_fract_x
_atom_site_fract_y
_atom_site_fract_z
Ac1 Ac 0.000 0.249 0.000
Zr1 Zr 0.409 0.500 0.496
Bi1 Bi 0.007 0.260 0.500
Bi2 Bi 0.246 0.500 0.972
Bi3 Bi 0.261 0.000 0.499
Bi4 Bi 0.271 0.000 0.022

***

# GGA-PBE AcZrBi3, optimized geometry
# - total energy (hartree per atom) = -0.199
# - energy above the lowest structure with this stoichiometry (kJ per mole of atoms) = 0.0
data_AcZrBi3
_cell_length_a 14.422
_cell_length_b 6.779
_cell_length_c 6.670
_cell_angle_alpha 90.00
_cell_angle_beta 90.00
_cell_angle_gamma 90.00
_space_group_name_H-M_alt 'P b c m'
_space_group_IT_number 57
loop_
_space_group_symop_operation_xyz
'x,y,z'
'-x,-y,-z'
'-x,-y,z+1/2'
'x,y,-z+1/2'
'x,-y+1/2,-z'
'-x,y+1/2,z'
'-x,y+1/2,-z+1/2'
'x,-y+1/2,z+1/2'
loop_
_atom_site_label
_atom_site_type_symbol
_atom_site_fract_x
_atom_site_fract_y
_atom_site_fract_z
Ac1 Ac 0.185 0.010 0.250
Zr1 Zr 0.412 0.750 0.000
Bi1 Bi 0.003 0.750 0.000
Bi2 Bi 0.272 0.512 0.250
Bi3 Bi 0.425 0.116 0.250

***

# GGA-PBE Ac2ZrBi, optimized geometry
# - total energy (hartree per atom) = -0.194
# - energy above the lowest structure with this stoichiometry (kJ per mole of atoms) = 0.0
data_Ac2ZrBi
_cell_length_a 5.238
_cell_length_b 5.238
_cell_length_c 4.833
_cell_angle_alpha 90.00
_cell_angle_beta 90.00
_cell_angle_gamma 90.00
_space_group_name_H-M_alt 'P 4/m m m'
_space_group_IT_number 123
_space_group_name_Hall '-P 4 2'
loop_
_atom_site_label
_atom_site_type_symbol
_atom_site_fract_x
_atom_site_fract_y
_atom_site_fract_z
Ac1 Ac 0.000 0.500 0.000
Zr1 Zr 0.000 0.000 0.500
Bi1 Bi 0.500 0.500 0.500

***

# GGA-PBE AcZrBi, optimized geometry
# - total energy (hartree per atom) = -0.207
# - energy above the lowest structure with this stoichiometry (kJ per mole of atoms) = 11.6
data_AcZrBi
_cell_length_a 4.643
_cell_length_b 4.643
_cell_length_c 9.903
_cell_angle_alpha 90.00
_cell_angle_beta 90.00
_cell_angle_gamma 90.00
_space_group_name_H-M_alt 'P 4/n m m'
_space_group_IT_number 129
loop_
_space_group_symop_operation_xyz
'x,y,z'
'-x,-y,-z'
'-y+1/2,x,z'
'y+1/2,-x,-z'
'-x+1/2,-y+1/2,z'
'x+1/2,y+1/2,-z'
'y,-x+1/2,z'
'-y,x+1/2,-z'
'x+1/2,-y,-z'
'-x+1/2,y,z'
'-y,-x,-z'
'y,x,z'
'-x,y+1/2,-z'
'x,-y+1/2,z'
'y+1/2,x+1/2,-z'
'-y+1/2,-x+1/2,z'
loop_
_atom_site_label
_atom_site_type_symbol
_atom_site_fract_x
_atom_site_fract_y
_atom_site_fract_z
Ac1 Ac 0.250 0.250 0.201
Zr1 Zr 0.250 0.250 0.555
Bi1 Bi 0.250 0.250 0.855

***

# GGA-PBE Ac2ZrBi, optimized geometry
# - total energy (hartree per atom) = -0.178
# - energy above the lowest structure with this stoichiometry (kJ per mole of atoms) = 43.2
data_Ac2ZrBi
_cell_length_a 3.5869
_cell_length_b 3.5869
_cell_length_c 37.8674
_cell_angle_alpha 90.00
_cell_angle_beta 90.00
_cell_angle_gamma 120.00
_space_group_name_H-M_alt 'R -3 m'
_space_group_IT_number 166
_space_group_name_Hall '-R 3 2"'
loop_
_atom_site_label
_atom_site_type_symbol
_atom_site_fract_x
_atom_site_fract_y
_atom_site_fract_z
Ac1 Ac 0.0000 0.0000 0.0868
- - -
== To do ==
What is needed: write out only the lines further up with the word "this" in them.
== Done ==
# - energy above the lowest structure with this stoichiometry (kJ per mole of atoms) = 36.3
# - energy above the lowest structure with this stoichiometry (kJ per mole of atoms) = 0.0
# - energy above the lowest structure with this stoichiometry (kJ per mole of atoms) = 0.0
# - energy above the lowest structure with this stoichiometry (kJ per mole of atoms) = 11.6
# - energy above the lowest structure with this stoichiometry (kJ per mole of atoms) = 43.2